
Isaiah 41:10 - Fear Not!

Isaiah 41:10 (NKJV) Fear not, for I am with 
you; Be not dismayed, for I am your God. I will 
strengthen you, Yes, I will help you, I will uphold you 
with My righteous right hand. 


   My three teenage boys are constantly 
trying to talk me into watching scary movies. I 
will have none of it. I get anxious enough 
watching the news. There are enough things to be 
scared about in this world without watching 
terrifying cinema.  
   The older I get, the easier it is to give 
in to fear. Fear. Such a small word with such 
an enormous impact. It fills up the fissures of 
our hearts and the nooks and crannies of our 
minds. Fear will take up any and all space that we 
give it in our lives. I know this because I have 
battled with it for so long. But the truth is? There 
is one person who has conquered fear. His name 
is Jesus, and He has an alternative to living 
scared. He invites us to live out our lives with Him 
 surrounded by His love. When we crack open 
the door to Jesus and His love? His love 
shatters fear. Love. Such a small word has such an 
enormous impact. The more that His love occupies the 
fissures in our hearts and nooks and crannies of our 
minds, the less scary life seems. This is because 
we are not alone. Ever. Jesus will take up any 
and all space that we give Him in our lives. His 
words calm the chatter of anxiety and regret. His 
power emboldens the faintest of heart and gives 
strength to the weary. His voice thunders out across 
the universe, Dont be afraid! Do you hear 
me? I am right here! by Susanna Foth Aughtmon 
   Faith Step: Fear can overwhelm you if you 
let it. Name your fears out loud to Jesus. Ask 
Him to show you His love at work in your life. 
[Mornings With Jesus 2020 Devotional by Guideposts and 


   I have been dealing with a situation that 
I definitely don't want to deal with anymore, 
and this morning, as that same situation 
presented itself once again, I felt fear grip my 
heart. The next thing that happened was God 
interrupting my misery and reminding me that fear is the 
worst thing I can do. Why? Because fear says I am 
not sure that God is with me and I don't know if 
He will help me; therefore, I have to try and 
handle the situation on my own and I have no idea 
what to do. 
   There are numerous places in the Word of 
God that simply read, "Fear not, for I am with 
you." God doesn't say what He is going to do or 
when He will do it; He simply wants it to be 
sufficient that He is with us, and knowing that, we 
should be able to trust that all things will turn 
out well in the end. 
   We can do all things through Christ who 
is our strength (see Philippians 4:13), but we 
have to keep reminding ourselves of that fact 
when we feel weary and overburdened. "I will not 
fear is the believer's only proper response to 
fear. The next time fear knocks on your door, 
answer with faith. Know that God loves you and that 
He is with you and He has a plan even if you 
don't know what it is. 
   Father, I know that fear will knock on my 
door, and when it does, let me answer with 
courage. Make me fully aware of Your presence at all 
times and let that be enough to overcome fear. [My 
Time with God by Joyce Meyer] 


No Fear
   Nighttime is the best time to hunt for 
krill and fish in Antarctic waters, the main food 
of penguins. So it makes sense that penguins 
should fish at night. But penguins hunt for food 
only during the day, when it is actually harder 
to catch their food. David Ainley and Grant 
Ballard published a June 2011 report in the journal 
Polar Biology concluding that the danger of 
predators prevents penguins from entering the water at 
night. Leopard seals, their main enemies, sleep 
during the day. 
   It seems that most animals have a fear of 
one type or another, though silverback gorillas, 
elephants, and hippos may show no fear, and such top 
predators as lions and tigers will appear fearless. 
Perhaps they exhibit less fear because they have 
more control. Fear is most often associated with 
the loss of control - one reason that people 
become especially fearful after earthquakes or 
tornadoes or terrorist attacks. Big animals and top 
predators seem to have more mastery over their lives. 
Prey species, being weaker, have to use their 
wits and develop strategies (such as hunting 
during the day) to survive. 
   One experimental psychologist tested the 
concept of fear and control in rats this way. She 
sounded a tone and then shocked the feet of rats. 
Half of the rats had a ledge they could step on 
that turned off the shock in one second - a way 
of controlling the situation. The others 
didn't. Later, just playing the tone would elicit 
fear in the rats without control much more than 
in those who had the control. 
   Therapists who work with fear and phobias 
in humans have learned that exposure therapy or 
systematic desensitization, a form of cognitive 
behavioral therapy, is quite effective in calming 
fears. Clients start off by talking about their 
fears in the safety of the office. Later they 
visit frightening situations accompanied by the 
therapist who can help them realize their fears are 
unfounded and irrational. My God is big enough, 
powerful enough, and wise enough to control each and 
every situation. By staying close to Him and 
trusting Him fully, I need not fear. 
   Lord, You are my light and my salvation - 
whom shall I fear? You are the stronghold of my 
life - of whom shall I be afraid? [God of Wonders 
by David Steen] 


   Do not fear, for I am with you. I will 
uphold you with My righteous right hand. Let these 
words enfold you like a warm blanket, sheltering 
you from the coldness of fear and 
discouragement. When trouble seems to be stalking you, grip 
My hand tightly and stay in communication with 
Me. You can trust and not be afraid, for I am 
your Strength and Song. My powerful Presence is 
with you always. You face nothing alone! 
Moreover, I have promised to strengthen you and help 
   My strong hand supports you in both good 
times and bad. When things are going well in your 
life, you may not be attentive to My sustaining 
Presence. But when you are walking through the valley 
of the shadow of death, you become keenly aware 
of your neediness. During these difficult 
times, holding onto Me keeps you standing - and 
able to put one foot in front of the other. As 
you endure this adversity patiently - in 
trusting dependence on Me - I bless you with abundant 
Joy in My Presence. (Isa. 41:10; 12:2; Psa. 
23:4) [Jesus Always by Sarah Young] 

   Hold My hand - and trust. So long as you 
are conscious of My Presence with you, all is 
well. It is virtually impossible to stumble while 
walking in the Light with Me. I designed you to 
enjoy Me above all else. You find the deepest 
fulfillment of your heart in Me alone.  
   Fearful, anxious thoughts melt away in 
the Light of My Presence. When you turn away 
from Me, you are vulnerable to the darkness that 
is always at work in the world. Don't be 
surprised by how easily you sin when you forget to 
cling to My hand. In the world, dependency is seen 
as immaturity. But in My kingdom, dependence on 
Me is a prime measure of maturity. (Isa. 41:10; 
Psa. 62:5, 6) [Jesus Calling by Sarah Young] 

   I am training you in steadiness. Too many 
things interrupt your awareness of Me. I know that 
you live in a world of sight and sound, but you 
must not be a slave to those stimuli. Awareness 
of Me can continue in all circumstances, no 
matter what happens. This is the steadiness I 
desire for you.  
   Don't let unexpected events throw you off 
course. Rather, respond calmly and confidently, 
remembering that I am with you. As soon as something 
grabs your attention, talk with Me about it. Thus 
I share your joys and your problems; I help 
you cope with whatever is before you. This is 
how I live in you and work through you. This is 
the way of Peace. (Psalm 112:7; Isa. 41:10) 
[Jesus Calling by Sarah Young] 

These data records were left in the piece by mistake =
'''
A | First-principles (GGA-PBE) data for a relaxed Tb2Y4Mg crystal, as listed in Alexandria.

Results
The symmetry is C2/m. The calculation puts the mass density at 5.2 g cm⁻³.

Cell lengths 8.507, 8.507, 8.592 Å; angles 116.35, 116.35, 23.60 degrees
Sites, in units of the cell vectors:
Tb  0.220  0.220  0.141
Tb  0.780  0.780  0.859
Y  0.080  0.080  0.702
Y  0.366  0.366  0.601
Y  0.634  0.634  0.399
Y  0.920  0.920  0.298
Mg  0.000  0.000  0.000

B | First-principles (GGA-PBE) data for a relaxed Tb2Y4Mg crystal, as listed in Alexandria.

Results
The symmetry is Ccce. The calculation puts the mass density at 5.1 g cm⁻³.

Cell lengths 12.075, 12.075, 6.726 Å; angles 90.00, 90.00, 112.41 degrees
Sites, in units of the cell vectors:
Tb  0.000  0.000  0.250
Tb  0.000  0.000  0.750
Tb  0.001  0.501  0.750
Tb  0.499  0.999  0.750
Tb  0.500  0.500  0.250
Tb  0.500  0.500  0.750
Tb  0.501  0.001  0.250
Tb  0.999  0.499  0.250
Y  0.054  0.293  0.501
Y  0.099  0.769  0.000
Y  0.207  0.446  0.001
Y  0.231  0.901  0.500
Y  0.269  0.599  0.500
Y  0.293  0.054  0.001
Y  0.401  0.731  0.000
Y  0.446  0.207  0.501
Y  0.554  0.793  0.499
Y  0.599  0.269  0.000
Y  0.707  0.946  0.999
Y  0.731  0.401  0.500
Y  0.769  0.099  0.500
Y  0.793  0.554  0.999
Y  0.901  0.231  0.000
Y  0.946  0.707  0.499
Mg  0.250  0.250  0.252
Mg  0.250  0.250  0.752
Mg  0.750  0.750  0.248
Mg  0.750  0.750  0.748

B is the least stable structure shown above.
'''

   The world is too much with you, My child. 
Your mind leaps from problem to problem to 
problem, tangling your thoughts in anxious knots. 
When you think like that, you leave Me out of 
your world-view and your mind becomes darkened. 
Though I yearn to help, I will not violate your 
freedom. I stand silently in the background of your 
mind, waiting for you to remember that I am with 
   When you turn from your problems to My 
Presence, your load is immediately lighter. 
Circumstances may not have changed, but we carry your 
burdens together. Your compulsion to "fix" 
everything gives way to deep, satisfying connection 
with Me. Together we can handle whatever this day 
brings. (Isa. 41:10; Zep. 3:17; Psa. 34:19) [Jesus 
Calling by Sarah Young] 


Isaiah 41:10 - God's Empowering Presence. 


1 John 4:18 - Love and Fear Don't Mix!



If anyone has a paraphrase, commentary or 
testimony on this passage of Scripture, either 
personal or otherwise, I would be interested in 
hearing from you.  Thanks in advance and let's keep 
uplifting Jesus that all might be drawn to Him. Fred 


Most Important Decision in Life: 

A Man without Equal by Bill Bright: 

Seeking God Made Real: 

Prayer Made Real: 

Importance of Choice: 
http://creationhealth.com/CREATION-Health/Choice [click on video]  

Medical Seminar on Healthful Living by David 
DeRose, MD, MPH: 


Lifting Up Jesus Bible Studies: 

Amazing Facts Bible Studies: 

Hope Awakens Bible Study Guides: 

Glow Tract Video Bible Studies: 


Revelation Now by Pastor Doug Batchelor 
(live now): https://www.revelationnow.com/ 

Unlocking Bible Prophecies by Cami Oetman of 
Adventist World Radio (recent): 

Hope Awakens by John Bradshaw of IIW: 

Prophecies Decoded by Pastor Ron Clouzet: 